Lessons from a young angel investor: Adrian Clarke

Angel investor Adrian Clarke shares the biggest lessons and challenges he has faced as a young investor.

I sat down with one of my business partners who told me that I was nearing the threshold as a young investor and would soon be held to the same standard as everyone else in the business world.

While this was the beginning of a pitch to motivate me to take the reins of a company we co-founded together, it nevertheless gave me pause to think about the differences for young investors and the lessons they can learn from it.

We are a rare breed

This one is obvious yet important. There are advantages to being the youngest at the table. The main one being that people underestimate you. They will naturally expect you to be inexperienced and you can use this to your advantage. Aside from the threshold to impress founders and fellow investors being lower, young investors can also persuasively make the claim they deserve a seat at the table to give themselves opportunities to learn. For older investors, board seats may come at a higher price.

However, perhaps the most important difference for young investors is that older founders often are looking for young blood to mentor and depending on the age of the startup, a young investor might be their only option.

This can be an advantage but more importantly an incredible learning opportunity. The co-founder mentioned above has taught me more about B2C product integration than anyone else I have done business with and I, in turn, was able to shed some light on B2B trends in the industry.

These kinds of mutually beneficial mentorships very rarely exist for people in their twenties. Young investors have the capacity to gain a holistic view of the commercial world much earlier on, which is why they remain the exception to the rule.

Inserted here: quantum chemistry results:
=====
Record 1
A structure of composition C6H6 in a non-equilibrium geometry. Source: the OMol25 dataset; level of theory: wB97M-V/def2-TZVPD.

XYZ file:
```
12
Properties=species:S:1:pos:R:3:forces:R:3:lowdin_charge:R:1
C 1.104 -1.094 1.284 2.14 -1.51 0.98 -0.11
C 0.398 -0.011 1.834 -1.32 -0.30 0.94 -0.16
C 0.862 -0.765 -0.038 1.55 -1.07 0.79 0.05
C -0.080 -0.110 -0.622 -0.09 -0.04 2.06 -0.30
C -0.343 0.526 0.780 -0.43 -0.69 -1.96 -0.06
C -0.576 0.338 -1.889 -1.84 2.14 -2.03 -0.08
H 1.735 -1.949 1.761 -1.52 1.89 -1.14 0.13
H 0.179 0.199 2.905 0.61 -0.06 -1.00 0.11
H -0.982 1.372 0.622 0.31 0.81 0.48 0.10
H -0.751 1.496 -1.767 0.12 -2.15 -0.68 0.11
H -1.586 -0.164 -2.029 1.06 0.82 -0.21 0.10
H 0.038 0.162 -2.843 -0.60 0.15 1.76 0.10
```
Positions in Å, forces in eV/Å.

Summary:
2S+1 = 1
energy above the lowest of the compared OMol25 structures with the same formula, charge and spin = 5.767 eV
gap between HOMO and LUMO (alpha / beta) = 0.2725 / 0.2724 Ha
lowest unoccupied orbital energy (alpha / beta) = -0.016 / -0.016 Eh
total energy = -232.01440 hartree
max |F| = 3.5 eV/Å

Record 2
An isolated molecule of C6H6. Source: the OMol25 dataset; level of theory: wB97M-V/def2-TZVPD.

XYZ file:
```
12
Properties=species:S:1:pos:R:3:forces:R:3:lowdin_charge:R:1
C 0.782 1.432 -0.225 0.03 0.04 -0.07 -0.07
C 0.049 0.317 0.540 -0.02 -0.06 -0.02 -0.39
C -1.302 0.047 0.011 -0.51 -0.21 -0.23 -0.12
C -2.313 -0.394 -0.472 0.33 0.29 0.20 0.13
C 0.711 -0.997 0.422 0.17 -0.56 -0.08 -0.12
C 1.044 -2.135 0.217 0.00 0.45 0.13 0.13
H 0.857 1.173 -1.284 -0.01 0.03 0.14 0.09
H 0.240 2.377 -0.133 0.05 -0.18 0.00 0.08
H 1.792 1.567 0.174 -0.17 -0.06 -0.04 0.08
H -0.018 0.601 1.599 -0.02 -0.10 -0.18 0.14
H -3.191 -0.823 -0.899 0.06 0.19 0.07 0.03
H 1.298 -3.154 0.026 0.10 0.17 0.08 0.03
```
Positions in Å, forces in eV/Å.

Summary:
2S+1 = 1
energy above the lowest of the compared OMol25 structures with the same formula, charge and spin = 3.992 eV
gap between HOMO and LUMO = 0.3966 Ha
lowest unoccupied orbital energy = 0.037 Eh
total energy = -232.07961 hartree
SMILES = C#CC(C)C#C
max |F| = 0.6 eV/Å

Record 3
An isolated molecule of C6H6 in a non-equilibrium geometry. Source: the OMol25 dataset; level of theory: wB97M-V/def2-TZVPD.

XYZ file:
```
12
Properties=species:S:1:pos:R:3:forces:R:3:lowdin_charge:R:1
C 0.401 -0.255 0.328 5.29 4.46 1.44 -0.28
C 2.848 0.019 -0.844 5.01 0.77 -0.73 0.02
C -0.696 -0.753 -0.381 -4.47 -1.01 -3.75 -0.20
C -1.607 0.423 0.260 0.48 -4.11 3.09 -0.11
C 1.894 -0.156 -0.131 -3.55 -0.80 0.88 -0.08
C -0.298 0.616 1.136 -1.69 -1.39 -2.89 0.02
H -0.895 -0.748 -1.508 1.35 -0.07 1.19 0.13
H -0.899 -1.792 -0.043 -0.56 0.62 -0.12 0.12
H -1.947 1.222 -0.350 0.33 0.64 -0.81 0.08
H -2.527 -0.042 0.772 1.21 0.94 -0.42 0.11
H 4.050 0.224 -1.214 -4.58 -0.79 1.13 0.12
H -0.324 1.241 1.977 1.18 0.76 1.01 0.08
```
Positions in Å, forces in eV/Å.

Summary:
2S+1 = 1
energy above the lowest of the compared OMol25 structures with the same formula, charge and spin = 5.666 eV
=====

There is no substitute for experience

This one’s a cliché but not without good reason. I spent the majority of my early years trying to prove it wrong and for a while, thought I was succeeding. However, a recent experience with one of my portfolio companies put me straight.

I used to believe that experience protected you from the mistakes and lapses you didn’t see coming. As a result, I thought that if I could predict every possible scenario then I could prove the cliché wrong. Putting aside the fact that this is nonsense, I have since found that the reason experience is important, is not because it keeps you from getting blindsided, but because it can protect you from explaining away potential problems that a more experienced investor would not ignore.

It is easy to convince yourself that a particular worst case scenario won’t occur from a position of ignorance. It is only through experience that we can know better.

Know your worth

People will try to take advantage of you as a young investor. This can apply to your time as well your capital. With regards to your time, you need to be clear from the start what your role in the company will be. If you will be contributing to the operations of the company beyond making introductions to relevant partners then it is not unreasonable to request a better deal than the passive investors in the round.

With regards to your capital always remember: an investor’s goal is to make a return! Again, it seems obvious but as a young investor it is easy to lose sight of that, especially if you invest in very early stage companies and become ‘part of a team’.

Investors are not entrepreneurs. An entrepreneur’s job is to grow the business. An investor’s job is to achieve a return and the best way he/she can do that is to remind the entrepreneur to grow the company in such a way as to invite further investment. This can be done by ’tranching’ your commitment to be released according to the fulfilling of certain KPIs and objectives or through a position on the board.

Regardless, of how you set this out it is always important to remember that in devising terms, you can afford to be tough so long as you are fair.

Entrepreneurship has become fashionable and as a result, there are many more founders looking for money than there are those willing to give it away. Being an angel investor is a position of responsibility. You have the means and hopefully the capability to empower the next wave of leaders and innovators. But don’t let the ‘angel’ part fool you. Your first responsibility is to yourself!

Adrian Clarke is the founder and CEO of Delarki, a boutique investment firm based in London, Miami, The Bahamas and now Hong Kong.

Praseeda Nair

Praseeda Nair

-- Unrelated to this article: quantum chemistry results --
1.
The following is a DFT calculation (ωB97M-V/def2-TZVPD) of a 8-piece molecular cluster, C22H35Cl10F9O6 overall.

Structure (XYZ):
```
82
Properties=species:S:1:pos:R:3:forces:R:3
Cl -7.115 1.201 0.459 0.04 0.28 0.13
C -5.590 0.536 -0.148 0.30 -0.68 -1.06
C -5.726 0.053 -1.613 0.26 0.09 0.74
Cl -6.867 -1.292 -1.603 -0.10 -0.82 -0.31
H -5.343 -0.360 0.468 0.02 0.92 -0.41
H -4.798 1.291 -0.125 -0.23 -0.13 0.40
H -4.735 -0.253 -1.959 -0.24 -0.30 0.12
H -6.134 0.726 -2.359 0.03 0.63 0.40
Cl -0.172 -0.059 5.743 -0.18 -0.35 -0.52
C 0.261 -1.474 4.710 -0.92 1.02 -1.50
C 1.622 -1.874 5.074 1.15 0.50 -0.73
Cl 1.836 -3.569 4.547 0.34 0.17 0.26
H 0.231 -1.281 3.603 -0.08 0.60 1.07
H -0.459 -2.237 4.798 -0.96 -0.83 0.88
H 1.819 -1.695 6.128 0.22 -0.56 -0.06
H 2.242 -1.206 4.443 0.37 -0.73 0.74
Cl 3.695 2.602 -2.712 -0.05 0.00 -0.40
C 4.849 1.509 -1.909 -0.15 -0.66 1.24
C 5.474 0.481 -2.863 1.92 1.14 0.51
Cl 6.144 -0.976 -2.041 -0.43 0.39 0.09
H 4.262 0.990 -1.121 0.41 0.23 -0.58
H 5.550 2.182 -1.393 0.05 -0.54 -0.38
H 6.360 0.879 -3.394 -0.63 0.11 0.32
H 4.795 0.186 -3.603 -1.19 -0.67 -0.82
Cl 7.539 2.323 3.418 -0.50 -0.23 0.08
C 6.045 1.351 3.582 -0.46 -0.90 0.29
C 6.402 -0.094 3.873 1.49 -0.98 -0.41
Cl 4.951 -1.228 3.930 0.94 0.99 -0.07
H 5.507 1.295 2.667 -0.29 0.68 -1.02
H 5.367 1.757 4.337 0.43 0.13 0.02
H 6.916 -0.142 4.835 -0.23 -0.33 -0.05
H 7.133 -0.503 3.082 -1.35 0.61 1.14
Cl 0.830 -0.109 -4.759 0.04 0.25 -0.01
C 0.488 1.172 -5.951 -0.53 0.43 -0.90
C 1.702 1.955 -6.419 -1.40 1.13 -0.81
Cl 2.872 0.957 -7.280 0.12 -0.02 -0.09
H -0.249 1.913 -5.516 0.69 -1.08 -0.50
H 0.114 0.668 -6.874 -0.25 0.33 0.97
H 2.176 2.453 -5.606 0.61 0.24 0.63
H 1.290 2.777 -7.110 0.76 -1.29 0.78
C -2.790 -4.871 1.744 2.10 -0.91 -1.08
C -2.954 -3.551 1.100 -1.96 0.43 -1.20
O -2.765 -3.709 -0.291 0.56 0.64 -3.53
C -2.820 -2.599 -1.078 0.59 -2.19 0.59
O -2.969 -1.470 -0.733 -0.45 0.44 0.36
C -2.545 -2.935 -2.585 0.18 -0.58 0.39
F -1.248 -2.820 -2.868 0.79 -0.50 0.48
F -2.958 -4.156 -2.927 0.05 0.09 0.18
F -3.112 -2.057 -3.372 -1.26 0.83 -0.40
H -2.864 -4.795 2.792 -0.15 0.03 1.31
H -1.755 -5.239 1.487 -0.77 0.49 0.50
H -3.403 -5.675 1.372 -0.77 0.12 -0.16
H -2.283 -2.796 1.351 1.36 1.10 1.31
H -3.942 -3.098 1.072 -0.47 -0.13 1.23
C -3.859 4.391 0.408 -0.42 -0.66 0.49
C -2.848 3.332 -0.109 0.47 2.91 0.14
O -2.515 2.418 0.952 -0.28 0.12 -0.16
C -1.501 2.735 1.723 2.57 1.71 -0.39
O -0.698 3.649 1.628 -1.69 -0.73 -0.40
C -1.216 1.719 2.794 -1.58 -2.32 0.09
F -1.106 0.466 2.168 0.00 1.27 0.87
F -0.144 1.937 3.490 0.60 0.26 -0.21
F -2.261 1.665 3.649 0.23 -0.22 -0.31
H -4.728 3.861 0.833 0.32 0.22 0.13
H -4.299 5.105 -0.296 0.50 -0.46 -0.53
H -3.393 5.029 1.169 -0.03 -0.42 0.03
H -1.965 3.904 -0.469 -0.14 -0.66 0.53
H -3.171 2.785 -0.956 -0.65 -0.90 -0.43
C -0.446 1.249 -1.467 -0.86 1.43 -1.27
C -0.267 -0.202 -1.167 0.19 0.54 0.93
O 1.000 -0.375 -0.480 0.55 0.13 -0.58
C 1.192 -1.495 0.184 -1.20 0.18 -0.10
O 0.361 -2.321 0.447 0.25 -0.06 -0.04

Praseeda was Editor for GrowthBusiness.co.uk from 2016 to 2018.